[Request]
Search the rows further down for the word "formation" and duplicate each line that has it, please.

[Material]
<<<
Density functional theory data (PBE-GGA) for a geometry-optimized SiO2 structure. Values from VASP.

## Properties
Raw total energy in eV per atom: -7.908
Spin magnetization in μB per formula unit: 0.0
Space-group type: R-3 (148)

The structure in Quantum ESPRESSO input format:
```
&SYSTEM
  ibrav = 0, nat = 120, ntyp = 2
/
ATOMIC_SPECIES
Si 28.09 Si.upf
O 16.00 O.upf
CELL_PARAMETERS angstrom
-1.638 9.761 12.737
-5.935 -3.345 14.622
7.680 -0.480 14.177
ATOMIC_POSITIONS crystal
Si 0.770 0.130 0.773
Si 0.813 0.385 0.010
Si 0.773 0.030 0.400
Si 0.030 0.400 0.773
Si 0.011 0.223 0.765
Si 0.227 0.970 0.600
Si 0.214 0.214 0.214
Si 0.616 0.648 0.234
Si 0.230 0.870 0.227
Si 0.615 0.990 0.187
Si 0.130 0.773 0.770
Si 0.223 0.765 0.011
Si 0.600 0.227 0.970
Si 0.766 0.384 0.352
Si 0.227 0.230 0.870
Si 0.010 0.813 0.385
Si 0.648 0.234 0.616
Si 0.026 0.647 0.629
Si 0.187 0.615 0.990
Si 0.765 0.011 0.223
Si 0.989 0.777 0.235
Si 0.371 0.974 0.353
Si 0.786 0.786 0.786
Si 0.773 0.770 0.130
Si 0.863 0.863 0.863
Si 0.777 0.235 0.989
Si 0.400 0.773 0.030
Si 0.352 0.766 0.384
Si 0.970 0.600 0.227
Si 0.385 0.010 0.813
Si 0.870 0.227 0.230
Si 0.990 0.187 0.615
Si 0.234 0.616 0.648
Si 0.353 0.371 0.974
Si 0.647 0.629 0.026
Si 0.974 0.353 0.371
Si 0.629 0.026 0.647
Si 0.235 0.989 0.777
Si 0.384 0.352 0.766
Si 0.137 0.137 0.137
O 0.524 0.668 0.032
O 0.968 0.476 0.332
O 0.951 0.282 0.507
O 0.752 0.344 0.997
O 0.105 0.792 0.121
O 0.332 0.968 0.476
O 0.703 0.900 0.718
O 0.722 0.893 0.132
O 0.825 0.825 0.825
O 0.175 0.175 0.175
O 0.282 0.507 0.951
O 0.780 0.997 0.851
O 0.309 0.684 0.520
O 0.815 0.333 0.263
O 0.149 0.220 0.003
O 0.888 0.916 0.421
O 0.248 0.656 0.003
O 0.916 0.421 0.888
O 0.868 0.278 0.107
O 0.797 0.146 0.330
O 0.032 0.524 0.668
O 0.278 0.107 0.868
O 0.263 0.815 0.333
O 0.112 0.084 0.579
O 0.146 0.330 0.797
O 0.476 0.332 0.968
O 0.352 0.874 0.371
O 0.267 0.973 0.669
O 0.316 0.480 0.691
O 0.874 0.371 0.352
O 0.520 0.309 0.684
O 0.895 0.208 0.879
O 0.371 0.352 0.874
O 0.684 0.520 0.309
O 0.900 0.718 0.703
O 0.737 0.185 0.667
O 0.973 0.669 0.267
O 0.282 0.297 0.100
O 0.049 0.718 0.493
O 0.493 0.049 0.718
O 0.507 0.951 0.282
O 0.648 0.126 0.629
O 0.208 0.879 0.895
O 0.331 0.733 0.027
O 0.126 0.629 0.648
O 0.203 0.854 0.670
O 0.084 0.579 0.112
O 0.997 0.851 0.780
O 0.107 0.868 0.278
O 0.733 0.027 0.331
O 0.893 0.132 0.722
O 0.854 0.670 0.203
O 0.629 0.648 0.126
O 0.667 0.737 0.185
O 0.027 0.331 0.733
O 0.670 0.203 0.854
O 0.003 0.248 0.656
O 0.132 0.722 0.893
O 0.220 0.003 0.149
O 0.121 0.105 0.792
O 0.718 0.703 0.900
O 0.185 0.667 0.737
O 0.668 0.032 0.524
O 0.718 0.493 0.049
O 0.330 0.797 0.146
O 0.691 0.316 0.480
O 0.003 0.149 0.220
O 0.656 0.003 0.248
O 0.669 0.267 0.973
O 0.579 0.112 0.084
O 0.297 0.100 0.282
O 0.333 0.263 0.815
O 0.851 0.780 0.997
O 0.421 0.888 0.916
O 0.997 0.752 0.344
O 0.344 0.997 0.752
O 0.100 0.282 0.297
O 0.879 0.895 0.208
O 0.792 0.121 0.105
O 0.480 0.691 0.316
```

* * * * *

Entry from the Materials Project: crystalline ZnCuMo at its relaxed geometry (GGA-PBE).

Structure (POSCAR):
```
ZnCuMo
1.0
3.410 2.078 1.214
-0.363 3.796 1.696
0.771 0.552 4.065
Zn Mo Cu
1 1 1
Direct
0.000 0.000 0.000
0.750 0.750 0.750
0.500 0.500 0.500
```

Theoretical density = 7.26 g cm⁻³
Formation energy from the elements = 967 meV per atom

* * * * *

VASP calculation (PBE-GGA) on a geometry-optimized CdP2 structure.

The piezoelectric modulus e_max is 0.1 C/m². For the formation energy, the calculation gives -0.4 eV/f.u.

The structure belongs to space group P4_32_12 (No. 96); the cell edges are 5.364, 5.364 and 20.013 Å and the angles 90.00°, 90.00° and 90.00°. Symmetry generates all atoms from Cd at (0.126, 0.347, 0.202), P at (0.020, 0.024, 0.626) and P at (0.192, 0.714, 0.435).
>>>

[Written answer]
The piezoelectric modulus e_max is 0.1 C/m². For the formation energy, the calculation gives -0.4 eV/f.u.